**Material:**
=====
Model a:
This record from OMol25 describes C37H55As3BN3O2SeZr as an isolated structure. The level of theory is ωB97M-V/def2-TZVPD.

Cartesian coordinates (Å):
Zr -0.29822 1.05740 -0.39512
Se 2.20588 1.71792 0.69921
As -1.19317 -5.46293 1.95510
As -2.04167 -1.68233 -0.45530
As 0.02568 -0.24482 2.21811
O 0.66596 -0.65669 -1.08708
O -2.06900 1.19588 0.76855
N -1.93179 1.61823 -2.00242
N 0.66840 1.65122 -2.43267
N -0.45948 3.28126 -0.02014
C -1.48407 -1.18030 3.06731
C -6.17163 1.27948 0.34996
C -3.63771 -2.02625 -1.54136
C -3.09501 -2.93804 3.59370
C 0.00677 1.27770 3.43796
C -3.00727 -5.74740 1.24183
C -1.01957 -3.25163 -1.00936
C -0.97334 -3.52161 2.35483
C -3.96481 1.35081 -0.65181
C -1.58385 -6.08953 3.77621
C -2.09297 -2.48597 2.51983
C 1.88355 -0.85997 -1.55329
C 5.65793 2.77592 -2.35222
C -3.20714 1.60201 -1.84617
C 3.61758 2.17748 -0.51534
C 1.67150 1.11410 -3.02424
C 2.41092 -0.02663 -2.56001
C 2.64583 -1.95132 -1.12119
C -4.19969 1.25162 1.75302
C 5.12060 0.38524 0.52965
C 4.38897 -1.39661 -2.70731
C -2.88605 -2.28185 1.22374
C 3.65362 -0.31573 -3.13529
C -0.59782 4.41564 0.16512
C -3.35635 1.26582 0.62215
C -5.36805 1.35999 -0.75910
C 5.80523 1.75651 -1.42190
C 2.39887 4.30119 -1.16407
C 3.87460 -2.20676 -1.69437
C 4.51403 3.55799 -2.27187
C 3.51025 3.30265 -1.34005
C 1.59295 -1.20759 2.86482
C 6.73288 3.06167 -3.36572
C -0.07800 2.68953 -3.12557
C -5.56703 1.24419 1.61324
C 4.81823 1.45090 -0.49084
C -1.47243 2.12077 -3.30887
B -0.81625 5.95381 0.40042
H -3.88703 -3.08800 -1.51738
H -3.73962 1.25030 2.73260
H 6.18831 0.38153 0.75571
H 7.67822 3.31234 -2.88077
H 4.45402 -3.05408 -1.34611
H 1.98916 1.53570 -3.98171
H 2.24468 -2.59254 -0.34630
H 6.91725 2.19481 -4.00445
H 0.23128 6.40965 0.79752
H 6.45563 3.89744 -4.00803
H -1.01220 -3.27725 -2.09939
H -0.74904 -5.83138 4.42729
H -1.43604 1.29051 -4.02082
H -2.15715 2.88057 -3.68773
H 4.57219 0.54868 1.45407
H -7.24827 1.27797 0.25535
H 0.81467 1.96072 3.18291
H -3.45362 -1.72662 -2.57302
H -3.14564 -6.82945 1.23593
H 6.72543 1.17870 -1.40695
H -1.67794 -7.17477 3.75686
H -3.82208 1.87366 -2.70898
H -1.71160 6.05930 1.20750
H 1.48316 -2.27724 2.70178
H 4.04105 0.34089 -3.90615
H 2.45972 -0.84027 2.31945
H 4.85350 -0.60332 0.16070
H -0.27303 -3.17282 1.59085
H -0.12226 3.57704 -2.49530
H 5.35942 -1.60584 -3.13576
H 0.37748 2.95629 -4.08234
H 4.41342 4.42266 -2.92079
H -2.49965 -5.65810 4.17734
H -3.63678 -3.83365 3.29167
H -2.26706 -0.42231 3.13771
H -1.12743 6.40262 -0.68520
H 0.12620 0.92019 4.46067
H 2.39593 4.68872 -0.14356
H 0.00939 -3.17436 -0.66836
H -1.46765 -4.17300 -0.63988
H -0.39913 -3.55845 3.28774
H -4.47365 -1.44909 -1.14915
H -5.80994 1.43874 -1.74664
H -3.68214 -1.55126 1.40226
H -3.08650 -5.39963 0.21296
H 2.51997 5.13863 -1.85211
H -2.58280 -3.15255 4.53466
H -6.18658 1.22317 2.50166
H 1.41518 3.86637 -1.31045
H -0.94697 1.79068 3.32722
H -1.13175 -1.37080 4.08627
H 1.71767 -1.01234 3.92931
H -3.37995 -3.22029 0.96662
H -3.79789 -5.30030 1.84042
H -3.82943 -2.15114 3.78018

Computed properties:
Gap between HOMO and LUMO: 6.48 eV
M: 979.628 Da
Lowest unoccupied orbital energy: -0.6759 eV
HOMO level: -7.16 eV
Net charge: 0

Model b:
This record from OMol25 describes C37H55As3BN3O2SeZr as an isolated structure. The level of theory is ωB97M-V/def2-TZVPD.

Cartesian coordinates (Å):
Zr 0.06940 -0.79967 -0.63893
Se -2.11510 -2.24414 -1.52345
As 2.96792 -1.02730 0.11086
As 0.42054 0.93816 1.77854
As 3.76401 3.71245 2.26495
O 0.91316 1.06065 -1.30938
O 0.05878 -1.90680 1.13435
N -1.63428 0.60096 -0.32161
N 0.80109 -3.01504 -1.26071
N 0.51561 -0.99756 -2.97266
C -0.98237 -5.73183 2.33000
C 0.00464 -0.10413 -3.74049
C -0.45554 3.99059 -2.93567
C 0.31956 1.81688 -2.21286
C -1.15445 -4.63358 3.17669
C -1.00933 3.44561 -4.10265
C 4.01972 4.55398 0.51002
C 3.60153 -0.61351 1.92287
C -1.04416 0.64770 3.02303
C -0.80100 -3.36247 2.77638
C -3.81852 -1.70041 1.21151
C 1.89458 0.85606 3.07830
C 5.66560 3.74517 2.75519
C 0.51391 -4.10383 -0.65265
C 3.69476 1.86470 1.55385
=====

**Brief:**
Find "2.51997 5.13863" and "1.21151" in the block earlier on, and type out these two lines and those between.

**Here it is:**
H 2.51997 5.13863 -1.85211
H -2.58280 -3.15255 4.53466
H -6.18658 1.22317 2.50166
H 1.41518 3.86637 -1.31045
H -0.94697 1.79068 3.32722
H -1.13175 -1.37080 4.08627
H 1.71767 -1.01234 3.92931
H -3.37995 -3.22029 0.96662
H -3.79789 -5.30030 1.84042
H -3.82943 -2.15114 3.78018

Computed properties:
Gap between HOMO and LUMO: 6.48 eV
M: 979.628 Da
Lowest unoccupied orbital energy: -0.6759 eV
HOMO level: -7.16 eV
Net charge: 0

Model b:
This record from OMol25 describes C37H55As3BN3O2SeZr as an isolated structure. The level of theory is ωB97M-V/def2-TZVPD.

Cartesian coordinates (Å):
Zr 0.06940 -0.79967 -0.63893
Se -2.11510 -2.24414 -1.52345
As 2.96792 -1.02730 0.11086
As 0.42054 0.93816 1.77854
As 3.76401 3.71245 2.26495
O 0.91316 1.06065 -1.30938
O 0.05878 -1.90680 1.13435
N -1.63428 0.60096 -0.32161
N 0.80109 -3.01504 -1.26071
N 0.51561 -0.99756 -2.97266
C -0.98237 -5.73183 2.33000
C 0.00464 -0.10413 -3.74049
C -0.45554 3.99059 -2.93567
C 0.31956 1.81688 -2.21286
C -1.15445 -4.63358 3.17669
C -1.00933 3.44561 -4.10265
C 4.01972 4.55398 0.51002
C 3.60153 -0.61351 1.92287
C -1.04416 0.64770 3.02303
C -0.80100 -3.36247 2.77638
C -3.81852 -1.70041 1.21151